Activity:
Please duplicate the entries further down without additions.
Material:
____________
1.
! LaMg6Cd, optimized geometry, DFT PBE; values from VASP
! Total moment   0.0 Bohr magnetons per cell
! E_form   -14 kJ/mol of formula units
&SYSTEM
  ibrav = 0, nat = 16, ntyp = 3
/
ATOMIC_SPECIES
Mg 24.30 Mg.upf
La 138.91 La.upf
Cd 112.41 Cd.upf
CELL_PARAMETERS angstrom
-4.755 1.177 1.671
0.560 -4.535 4.788
4.559 8.179 7.213
ATOMIC_POSITIONS angstrom
Mg 2.047 2.312 4.197
Mg -1.596 -2.118 4.964
Mg 2.333 0.004 6.634
Mg -0.834 3.358 3.278
Mg 4.332 6.361 7.846
Mg -1.867 0.072 2.652
Mg 1.417 7.396 6.839
Mg 1.726 5.180 9.278
Mg -0.582 1.039 5.626
Mg 0.403 4.239 6.177
Mg 0.693 1.894 8.652
Mg 4.607 4.135 10.197
La 0.771 1.384 1.220
La 3.331 3.206 7.220
Cd 1.018 -0.943 3.562
Cd 3.018 5.414 4.774



2.
! La2MgCd, optimized geometry, DFT PBE; values from VASP
! E_form   -81 kJ/mol of formula units
&SYSTEM
  ibrav = 0, nat = 4, ntyp = 3
/
ATOMIC_SPECIES
Cd 112.41 Cd.upf
La 138.91 La.upf
Mg 24.30 Mg.upf
CELL_PARAMETERS angstrom
-3.290 -3.776 -2.457
-5.506 0.094 0.895
-3.464 1.556 -4.087
ATOMIC_POSITIONS angstrom
Cd -6.130 -1.063 -2.824
La -3.065 -0.532 -1.412
La -9.195 -1.595 -4.236
Mg 0.000 0.000 0.000



3.
! LaMg6Cd, optimized geometry, DFT PBE; values from VASP
! Total moment   0.0 Bohr magnetons per cell
! E_form   -17 kJ/mol of formula units
&SYSTEM
  ibrav = 0, nat = 16, ntyp = 3
/
ATOMIC_SPECIES
Mg 24.30 Mg.upf
La 138.91 La.upf
Cd 112.41 Cd.upf
CELL_PARAMETERS angstrom
5.167 0.000 0.000
0.000 6.744 0.000
0.000 0.000 11.673
ATOMIC_POSITIONS angstrom
Mg 2.584 0.000 1.951
Mg 0.000 5.091 6.777
Mg 2.584 5.141 4.924
Mg 2.584 1.603 4.924
Mg 2.584 4.976 10.760
Mg 0.000 1.653 6.777
Mg 2.584 1.769 10.760
Mg 0.000 5.025 0.940
Mg 2.584 3.372 7.787
Mg 0.000 1.719 0.940
Mg 0.000 3.372 9.773
Mg 0.000 0.000 3.937
La 0.000 0.000 9.700
La 0.000 3.372 3.863
Cd 2.584 3.372 1.867
Cd 2.584 0.000 7.703



Number 1: V 202.45 Å³/f.u., E -31.20 eV/cell. Number 2: V 122.76 Å³/f.u., E -13.24 eV/cell. Number 3: V 203.40 Å³/f.u., E -31.28 eV/cell.


[1]
This record from Materials Project describes a relaxed structure of Ba10Pr5Nb2Sn3O30. The functional is PBE.

The structure in CIF format:
```
data_Ba10Pr5Nb2Sn3O30
_symmetry_space_group_name_H-M 'P 1'
_symmetry_Int_Tables_number 1
_cell_length_a 8.784
_cell_length_b 10.701
_cell_length_c 10.762
_cell_angle_alpha 80.85
_cell_angle_beta 113.85
_cell_angle_gamma 113.74
loop_
_symmetry_equiv_pos_as_xyz
'x,y,z'
loop_
_atom_site_label
_atom_site_fract_x
_atom_site_fract_y
_atom_site_fract_z
Sn1 0.100 0.400 0.800
Sn2 0.300 0.200 0.400
Sn3 0.900 0.600 0.200
O1 0.015 0.201 0.873
O2 0.261 0.009 0.970
O3 0.384 0.399 0.325
O4 0.055 0.210 0.372
O5 0.215 0.000 0.473
O6 0.014 0.677 0.398
O7 0.186 0.123 0.202
O8 0.616 0.606 0.671
O9 0.416 0.806 0.071
O10 0.584 0.194 0.929
O11 0.185 0.599 0.727
O12 0.393 0.927 0.807
O13 0.463 0.812 0.573
O14 0.544 0.188 0.428
O15 0.737 0.988 0.027
O16 0.784 0.994 0.529
O17 0.606 0.072 0.192
O18 0.412 0.274 0.599
O19 0.939 0.791 0.630
O20 0.807 0.873 0.793
O21 0.656 0.612 0.172
O22 0.344 0.389 0.828
O23 0.986 0.323 0.602
O24 0.594 0.728 0.408
O25 0.788 0.526 0.001
O26 0.214 0.477 0.998
O27 0.985 0.800 0.127
O28 0.816 0.401 0.275
O29 0.856 0.411 0.772
O30 0.145 0.590 0.228
Ba1 0.149 0.103 0.700
Ba2 0.651 0.100 0.699
Ba3 0.051 0.697 0.900
Ba4 0.248 0.496 0.499
Ba5 0.750 0.500 0.500
Ba6 0.450 0.300 0.100
Ba7 0.952 0.304 0.101
Ba8 0.853 0.898 0.299
Ba9 0.549 0.700 0.901
Ba10 0.347 0.902 0.301
Pr1 0.402 0.602 0.201
Pr2 0.798 0.198 0.399
Pr3 0.201 0.800 0.602
Pr4 0.600 0.400 0.800
Pr5 0.999 0.000 0.998
Nb1 0.700 0.800 0.600
Nb2 0.500 0.000 0.000
```

Computed properties:
- ΔH_f (0 K) (eV/atom) = -3.0268
- space-group type = P-1
- volume (Å³/cell) = 846.9
- magnetic moment (μB/f.u.) = 3.0
- E_tot (eV per atom) = -7.09

***

[2]
This record from Materials Project describes a relaxed structure of Li3MnAs2. The functional is PBE.

The structure in CIF format:
```
data_Li3MnAs2
_symmetry_space_group_name_H-M 'P 1'
_symmetry_Int_Tables_number 1
_cell_length_a 4.109
_cell_length_b 4.109
____________
Response:
1.
! LaMg6Cd, optimized geometry, DFT PBE; values from VASP
! Total moment   0.0 Bohr magnetons per cell
! E_form   -14 kJ/mol of formula units
&SYSTEM
  ibrav = 0, nat = 16, ntyp = 3
/
ATOMIC_SPECIES
Mg 24.30 Mg.upf
La 138.91 La.upf
Cd 112.41 Cd.upf
CELL_PARAMETERS angstrom
-4.755 1.177 1.671
0.560 -4.535 4.788
4.559 8.179 7.213
ATOMIC_POSITIONS angstrom
Mg 2.047 2.312 4.197
Mg -1.596 -2.118 4.964
Mg 2.333 0.004 6.634
Mg -0.834 3.358 3.278
Mg 4.332 6.361 7.846
Mg -1.867 0.072 2.652
Mg 1.417 7.396 6.839
Mg 1.726 5.180 9.278
Mg -0.582 1.039 5.626
Mg 0.403 4.239 6.177
Mg 0.693 1.894 8.652
Mg 4.607 4.135 10.197
La 0.771 1.384 1.220
La 3.331 3.206 7.220
Cd 1.018 -0.943 3.562
Cd 3.018 5.414 4.774



2.
! La2MgCd, optimized geometry, DFT PBE; values from VASP
! E_form   -81 kJ/mol of formula units
&SYSTEM
  ibrav = 0, nat = 4, ntyp = 3
/
ATOMIC_SPECIES
Cd 112.41 Cd.upf
La 138.91 La.upf
Mg 24.30 Mg.upf
CELL_PARAMETERS angstrom
-3.290 -3.776 -2.457
-5.506 0.094 0.895
-3.464 1.556 -4.087
ATOMIC_POSITIONS angstrom
Cd -6.130 -1.063 -2.824
La -3.065 -0.532 -1.412
La -9.195 -1.595 -4.236
Mg 0.000 0.000 0.000



3.
! LaMg6Cd, optimized geometry, DFT PBE; values from VASP
! Total moment   0.0 Bohr magnetons per cell
! E_form   -17 kJ/mol of formula units
&SYSTEM
  ibrav = 0, nat = 16, ntyp = 3
/
ATOMIC_SPECIES
Mg 24.30 Mg.upf
La 138.91 La.upf
Cd 112.41 Cd.upf
CELL_PARAMETERS angstrom
5.167 0.000 0.000
0.000 6.744 0.000
0.000 0.000 11.673
ATOMIC_POSITIONS angstrom
Mg 2.584 0.000 1.951
Mg 0.000 5.091 6.777
Mg 2.584 5.141 4.924
Mg 2.584 1.603 4.924
Mg 2.584 4.976 10.760
Mg 0.000 1.653 6.777
Mg 2.584 1.769 10.760
Mg 0.000 5.025 0.940
Mg 2.584 3.372 7.787
Mg 0.000 1.719 0.940
Mg 0.000 3.372 9.773
Mg 0.000 0.000 3.937
La 0.000 0.000 9.700
La 0.000 3.372 3.863
Cd 2.584 3.372 1.867
Cd 2.584 0.000 7.703



Number 1: V 202.45 Å³/f.u., E -31.20 eV/cell. Number 2: V 122.76 Å³/f.u., E -13.24 eV/cell. Number 3: V 203.40 Å³/f.u., E -31.28 eV/cell.


[1]
This record from Materials Project describes a relaxed structure of Ba10Pr5Nb2Sn3O30. The functional is PBE.

The structure in CIF format:
```
data_Ba10Pr5Nb2Sn3O30
_symmetry_space_group_name_H-M 'P 1'
_symmetry_Int_Tables_number 1
_cell_length_a 8.784
_cell_length_b 10.701
_cell_length_c 10.762
_cell_angle_alpha 80.85
_cell_angle_beta 113.85
_cell_angle_gamma 113.74
loop_
_symmetry_equiv_pos_as_xyz
'x,y,z'
loop_
_atom_site_label
_atom_site_fract_x
_atom_site_fract_y
_atom_site_fract_z
Sn1 0.100 0.400 0.800
Sn2 0.300 0.200 0.400
Sn3 0.900 0.600 0.200
O1 0.015 0.201 0.873
O2 0.261 0.009 0.970
O3 0.384 0.399 0.325
O4 0.055 0.210 0.372
O5 0.215 0.000 0.473
O6 0.014 0.677 0.398
O7 0.186 0.123 0.202
O8 0.616 0.606 0.671
O9 0.416 0.806 0.071
O10 0.584 0.194 0.929
O11 0.185 0.599 0.727
O12 0.393 0.927 0.807
O13 0.463 0.812 0.573
O14 0.544 0.188 0.428
O15 0.737 0.988 0.027
O16 0.784 0.994 0.529
O17 0.606 0.072 0.192
O18 0.412 0.274 0.599
O19 0.939 0.791 0.630
O20 0.807 0.873 0.793
O21 0.656 0.612 0.172
O22 0.344 0.389 0.828
O23 0.986 0.323 0.602
O24 0.594 0.728 0.408
O25 0.788 0.526 0.001
O26 0.214 0.477 0.998
O27 0.985 0.800 0.127
O28 0.816 0.401 0.275
O29 0.856 0.411 0.772
O30 0.145 0.590 0.228
Ba1 0.149 0.103 0.700
Ba2 0.651 0.100 0.699
Ba3 0.051 0.697 0.900
Ba4 0.248 0.496 0.499
Ba5 0.750 0.500 0.500
Ba6 0.450 0.300 0.100
Ba7 0.952 0.304 0.101
Ba8 0.853 0.898 0.299
Ba9 0.549 0.700 0.901
Ba10 0.347 0.902 0.301
Pr1 0.402 0.602 0.201
Pr2 0.798 0.198 0.399
Pr3 0.201 0.800 0.602
Pr4 0.600 0.400 0.800
Pr5 0.999 0.000 0.998
Nb1 0.700 0.800 0.600
Nb2 0.500 0.000 0.000
```

Computed properties:
- ΔH_f (0 K) (eV/atom) = -3.0268
- space-group type = P-1
- volume (Å³/cell) = 846.9
- magnetic moment (μB/f.u.) = 3.0
- E_tot (eV per atom) = -7.09

***

[2]
This record from Materials Project describes a relaxed structure of Li3MnAs2. The functional is PBE.

The structure in CIF format:
```
data_Li3MnAs2
_symmetry_space_group_name_H-M 'P 1'
_symmetry_Int_Tables_number 1
_cell_length_a 4.109
_cell_length_b 4.109